********
(1)
Dy2NpScSb4: relaxed, PBE.

a b c (Å): 7.501 4.335 7.515
angles (deg): 90.00 109.29 90.00
Sites, in units of the cell vectors:
Dy  0.000  0.000  0.000
Dy  0.500  0.500  0.000
Np  0.000  0.500  0.500
Sc  0.500  0.000  0.500
Sb  0.256  0.000  0.746
Sb  0.259  0.500  0.260
Sb  0.741  0.500  0.740
Sb  0.744  0.000  0.254

Summary:
- Symmetry: No. 10
- Uncorrected formation energy: -0.83 eV per atom

=====

(2)
DyTm3Mn: relaxed, PBE.

a b c (Å): 5.222 5.222 5.222
angles (deg): 90.00 90.00 90.00
Sites, in units of the cell vectors:
Dy  0.000  0.000  0.000
Tm  0.000  0.500  0.500
Tm  0.500  0.000  0.500
Tm  0.500  0.500  0.000
Mn  0.500  0.500  0.500

Summary:
- Formation energy from the elements: 1.1 eV/f.u.
- Symmetry: No. 221

=====

Results for size of the total moment: 0.4857, 0.1057 (in μB/atom, following the order of the records).
Results for DFT total energy: -6.45, -5.22 (in eV/atom, following the order of the records).

~~~~~

A plane-wave DFT calculation with PBE was carried out for a geometry-optimized La2CdCo structure.

The calculation puts the electronic total energy at -4.621 eV per atom. The value obtained for the density of states at the Fermi level is 6.40 states/eV/cell.

It has space group C2/m (No. 12), with a = 6.878 Å, b = 3.981 Å, c = 8.736 Å, α = 90.00°, β = 105.43° and γ = 90.00°. Symmetry generates all atoms from La at (0.228, 0.000, 0.186), Cd at (0.000, 0.000, 0.500) and Co at (0.000, 0.500, 0.000).


A plane-wave DFT calculation with PBE was carried out for a geometry-optimized TcNiP2I structure.

The calculation puts the electronic total energy at -4.644 eV per atom. The value obtained for the density of states at the Fermi level is 4.22 states/eV/cell. The calculation puts the raw formation energy at 1059 meV per atom.

It has space group P4/mmm (No. 123), with a = 4.299 Å, b = 4.299 Å, c = 5.579 Å, α = 90.00°, β = 90.00° and γ = 90.00°. Symmetry generates all atoms from Tc at (0.000, 0.000, 0.000), Ni at (0.500, 0.500, 0.500), P at (0.000, 0.500, 0.500) and I at (0.500, 0.500, 0.000).
********
Your job: copy only the last part of the lines earlier on, starting with the line that has "90.00 109.29".
angles (deg): 90.00 109.29 90.00
Sites, in units of the cell vectors:
Dy  0.000  0.000  0.000
Dy  0.500  0.500  0.000
Np  0.000  0.500  0.500
Sc  0.500  0.000  0.500
Sb  0.256  0.000  0.746
Sb  0.259  0.500  0.260
Sb  0.741  0.500  0.740
Sb  0.744  0.000  0.254

Summary:
- Symmetry: No. 10
- Uncorrected formation energy: -0.83 eV per atom

=====

(2)
DyTm3Mn: relaxed, PBE.

a b c (Å): 5.222 5.222 5.222
angles (deg): 90.00 90.00 90.00
Sites, in units of the cell vectors:
Dy  0.000  0.000  0.000
Tm  0.000  0.500  0.500
Tm  0.500  0.000  0.500
Tm  0.500  0.500  0.000
Mn  0.500  0.500  0.500

Summary:
- Formation energy from the elements: 1.1 eV/f.u.
- Symmetry: No. 221

=====

Results for size of the total moment: 0.4857, 0.1057 (in μB/atom, following the order of the records).
Results for DFT total energy: -6.45, -5.22 (in eV/atom, following the order of the records).

~~~~~

A plane-wave DFT calculation with PBE was carried out for a geometry-optimized La2CdCo structure.

The calculation puts the electronic total energy at -4.621 eV per atom. The value obtained for the density of states at the Fermi level is 6.40 states/eV/cell.

It has space group C2/m (No. 12), with a = 6.878 Å, b = 3.981 Å, c = 8.736 Å, α = 90.00°, β = 105.43° and γ = 90.00°. Symmetry generates all atoms from La at (0.228, 0.000, 0.186), Cd at (0.000, 0.000, 0.500) and Co at (0.000, 0.500, 0.000).


A plane-wave DFT calculation with PBE was carried out for a geometry-optimized TcNiP2I structure.

The calculation puts the electronic total energy at -4.644 eV per atom. The value obtained for the density of states at the Fermi level is 4.22 states/eV/cell. The calculation puts the raw formation energy at 1059 meV per atom.

It has space group P4/mmm (No. 123), with a = 4.299 Å, b = 4.299 Å, c = 5.579 Å, α = 90.00°, β = 90.00° and γ = 90.00°. Symmetry generates all atoms from Tc at (0.000, 0.000, 0.000), Ni at (0.500, 0.500, 0.500), P at (0.000, 0.500, 0.500) and I at (0.500, 0.500, 0.000).